• What to do:
Next, reproduce the whole of the calculation results further below with every line break kept.

• File:
~~~
Record 1
The following is a quantum chemistry calculation of a molecular structure, C20H36MgO9, from OMol25.

```
! wB97M-V def2-TZVPD RIJCOSX def2/J DEFGRID3
* xyz 0 1
Mg -0.2556 0.2586 0.0096
C 3.5094 2.6236 -0.4964
C 2.6602 1.4555 -1.1200
O 1.3025 1.3274 -0.7409
H 4.5579 2.5852 -0.7918
H 3.3290 2.7839 0.5665
H 3.1181 3.5572 -0.9005
H 3.2053 0.5363 -0.9054
H 2.8169 1.5771 -2.1918
C -1.7180 -1.9478 2.9828
C -2.4802 -1.4767 1.7591
O -1.9200 -0.5397 0.8635
H -1.2749 -1.0582 3.4305
H -1.0099 -2.6985 2.6318
H -2.5019 -2.3578 3.6196
H -3.4424 -1.0666 2.0658
H -2.8582 -2.3829 1.2858
C -1.4778 3.7221 2.4011
C -1.0885 2.6474 3.4170
C -0.0708 1.7582 2.6996
O -0.5116 1.8294 1.3094
C -0.9354 3.1437 1.0924
H -1.0221 4.7055 2.5167
H -2.5383 3.9593 2.3168
H -1.9277 2.0029 3.6785
H -0.6284 2.9932 4.3427
H 0.1901 0.7981 3.1448
H 0.9412 2.1609 2.6576
H -1.7126 3.1667 0.3286
H -0.1154 3.7781 0.7557
O 0.0636 -1.3547 -1.0865
C -0.1070 -2.4180 -1.7471
O 0.8436 -3.2768 -2.1814
C 0.3083 -4.4451 -2.7083
C -1.0411 -4.0151 -3.1930
C -1.4703 -2.9685 -2.2345
H 0.1979 -5.1696 -1.9015
H 1.0146 -4.7208 -3.4914
H -1.7593 -4.8348 -3.1714
H -0.9811 -3.6364 -4.2133
H -1.9658 -3.3488 -1.3413
H -2.1157 -2.1959 -2.6524
O -1.4660 0.9945 -1.4771
C -1.8185 1.4640 -2.5591
O -2.7567 2.4111 -2.7089
C -3.1400 2.5475 -4.1256
C -1.9336 2.0365 -4.8869
C -1.2838 1.0681 -3.8915
H -3.2777 3.6047 -4.3528
H -4.0658 2.0182 -4.3508
H -1.3097 2.8641 -5.2245
H -2.1898 1.5499 -5.8280
H -0.2037 1.1777 -3.9885
H -1.6594 0.0510 -4.0039
O 1.0866 -0.6451 1.3554
C 1.9684 -1.1757 2.0147
O 1.8856 -2.4663 2.2433
C 3.0876 -2.8663 2.9201
C 3.5736 -1.6188 3.6659
C 3.1399 -0.5148 2.7273
H 3.8730 -3.2185 2.2514
H 2.9276 -3.6740 3.6343
H 4.6556 -1.6269 3.7978
H 3.1526 -1.5021 4.6645
H 3.9360 -0.2442 2.0337
H 2.6896 0.3078 3.2828
*
```

Properties
HOMO energy: -0.23381 hartree


Record 2
The following is a quantum chemistry calculation of a molecular structure, C6H6F2O6Rb, from OMol25.

```
! wB97M-V def2-TZVPD RIJCOSX def2/J DEFGRID3
* xyz 1 1
Rb -0.6716 14.6103 -8.9898
C 0.8720 7.3157 -3.9383
C 1.2798 8.3090 -2.8639
O 0.9675 9.5738 -3.4467
C 0.5403 9.3762 -4.7153
O 0.0960 10.1838 -5.5202
O 0.1604 8.0980 -4.7868
F 2.5471 8.1986 -2.5118
H 0.1503 6.6090 -3.5286
H 1.5812 6.7042 -4.4962
H 0.5139 8.2798 -2.0889
C -7.8285 16.0031 -10.6248
C -7.8738 17.1311 -9.6188
O -7.3719 16.2755 -8.5092
C -6.5842 15.3534 -8.9569
O -5.8531 14.5949 -8.3236
O -6.6260 15.4412 -10.3235
F -9.0838 17.5510 -9.4835
H -7.7628 16.3994 -11.6381
H -8.6912 15.3550 -10.4705
H -7.2650 18.0176 -9.7963
*
```

Properties
HOMO energy: -0.48267 hartree
Relative energy (zero: lowest compared OMol25 entry of this formula, charge and spin): 93.60 kJ/mol


Record 3
The following is a quantum chemistry calculation of 6 unconnected molecules or ions with the total composition C14H18F4N2O16, from OMol25.

```
! wB97M-V def2-TZVPD RIJCOSX def2/J DEFGRID3
* xyz -1 2
C 4.1596 0.7731 -0.3657
N 4.8702 -0.5331 -0.4887
O 4.6043 -1.3193 -1.3701
O 5.5843 -0.8724 0.4594
H 3.6854 0.9631 -1.3286
H 4.8023 1.5903 -0.0382
H 3.4875 0.5182 0.4537
C -0.9523 3.2838 4.0258
N -0.2515 4.5404 4.4982
O -0.7296 5.6013 4.1316
O 0.7921 4.4767 5.1368
H -1.3728 3.4296 3.0308
H -1.6064 2.8714 4.7940
H -0.1115 2.5935 3.9574
C 1.4746 -4.6620 -1.9603
C 0.5230 -5.5330 -1.1693
O 0.3406 -6.8005 -1.8735
C 0.9488 -6.6684 -3.0508
O 0.8854 -7.5671 -3.9312
O 1.5567 -5.4648 -3.0984
F -0.5346 -4.6692 -1.3110
H 2.3983 -4.4460 -1.4234
H 1.1964 -3.6842 -2.3534
H 0.8672 -5.6023 -0.1374
C -5.8241 -3.7086 -3.3247
C -4.4885 -3.9649 -3.9463
O -3.5844 -3.3232 -3.0288
C -4.2412 -2.3529 -2.4064
O -3.8218 -1.4610 -1.7478
O -5.6057 -2.5256 -2.6027
F -4.1845 -3.4687 -5.0925
H -6.1322 -4.5415 -2.6928
H -6.5371 -3.5002 -4.1224
H -4.2926 -5.0362 -3.9920
C 2.2134 6.7022 2.7513
C 1.2156 7.2954 1.7613
O 0.8848 6.1741 0.9790
C 1.4889 5.0490 1.5275
O 1.2040 3.8807 1.2833
O 2.4975 5.3814 2.2204
F 1.9265 8.2369 1.1807
H 1.7073 6.5991 3.7111
H 3.2244 7.1096 2.7385
H 0.4172 7.7764 2.3263
~~~

• Result:
Record 1
The following is a quantum chemistry calculation of a molecular structure, C20H36MgO9, from OMol25.

```
! wB97M-V def2-TZVPD RIJCOSX def2/J DEFGRID3
* xyz 0 1
Mg -0.2556 0.2586 0.0096
C 3.5094 2.6236 -0.4964
C 2.6602 1.4555 -1.1200
O 1.3025 1.3274 -0.7409
H 4.5579 2.5852 -0.7918
H 3.3290 2.7839 0.5665
H 3.1181 3.5572 -0.9005
H 3.2053 0.5363 -0.9054
H 2.8169 1.5771 -2.1918
C -1.7180 -1.9478 2.9828
C -2.4802 -1.4767 1.7591
O -1.9200 -0.5397 0.8635
H -1.2749 -1.0582 3.4305
H -1.0099 -2.6985 2.6318
H -2.5019 -2.3578 3.6196
H -3.4424 -1.0666 2.0658
H -2.8582 -2.3829 1.2858
C -1.4778 3.7221 2.4011
C -1.0885 2.6474 3.4170
C -0.0708 1.7582 2.6996
O -0.5116 1.8294 1.3094
C -0.9354 3.1437 1.0924
H -1.0221 4.7055 2.5167
H -2.5383 3.9593 2.3168
H -1.9277 2.0029 3.6785
H -0.6284 2.9932 4.3427
H 0.1901 0.7981 3.1448
H 0.9412 2.1609 2.6576
H -1.7126 3.1667 0.3286
H -0.1154 3.7781 0.7557
O 0.0636 -1.3547 -1.0865
C -0.1070 -2.4180 -1.7471
O 0.8436 -3.2768 -2.1814
C 0.3083 -4.4451 -2.7083
C -1.0411 -4.0151 -3.1930
C -1.4703 -2.9685 -2.2345
H 0.1979 -5.1696 -1.9015
H 1.0146 -4.7208 -3.4914
H -1.7593 -4.8348 -3.1714
H -0.9811 -3.6364 -4.2133
H -1.9658 -3.3488 -1.3413
H -2.1157 -2.1959 -2.6524
O -1.4660 0.9945 -1.4771
C -1.8185 1.4640 -2.5591
O -2.7567 2.4111 -2.7089
C -3.1400 2.5475 -4.1256
C -1.9336 2.0365 -4.8869
C -1.2838 1.0681 -3.8915
H -3.2777 3.6047 -4.3528
H -4.0658 2.0182 -4.3508
H -1.3097 2.8641 -5.2245
H -2.1898 1.5499 -5.8280
H -0.2037 1.1777 -3.9885
H -1.6594 0.0510 -4.0039
O 1.0866 -0.6451 1.3554
C 1.9684 -1.1757 2.0147
O 1.8856 -2.4663 2.2433
C 3.0876 -2.8663 2.9201
C 3.5736 -1.6188 3.6659
C 3.1399 -0.5148 2.7273
H 3.8730 -3.2185 2.2514
H 2.9276 -3.6740 3.6343
H 4.6556 -1.6269 3.7978
H 3.1526 -1.5021 4.6645
H 3.9360 -0.2442 2.0337
H 2.6896 0.3078 3.2828
*
```

Properties
HOMO energy: -0.23381 hartree


Record 2
The following is a quantum chemistry calculation of a molecular structure, C6H6F2O6Rb, from OMol25.

```
! wB97M-V def2-TZVPD RIJCOSX def2/J DEFGRID3
* xyz 1 1
Rb -0.6716 14.6103 -8.9898
C 0.8720 7.3157 -3.9383
C 1.2798 8.3090 -2.8639
O 0.9675 9.5738 -3.4467
C 0.5403 9.3762 -4.7153
O 0.0960 10.1838 -5.5202
O 0.1604 8.0980 -4.7868
F 2.5471 8.1986 -2.5118
H 0.1503 6.6090 -3.5286
H 1.5812 6.7042 -4.4962
H 0.5139 8.2798 -2.0889
C -7.8285 16.0031 -10.6248
C -7.8738 17.1311 -9.6188
O -7.3719 16.2755 -8.5092
C -6.5842 15.3534 -8.9569
O -5.8531 14.5949 -8.3236
O -6.6260 15.4412 -10.3235
F -9.0838 17.5510 -9.4835
H -7.7628 16.3994 -11.6381
H -8.6912 15.3550 -10.4705
H -7.2650 18.0176 -9.7963
*
```

Properties
HOMO energy: -0.48267 hartree
Relative energy (zero: lowest compared OMol25 entry of this formula, charge and spin): 93.60 kJ/mol


Record 3
The following is a quantum chemistry calculation of 6 unconnected molecules or ions with the total composition C14H18F4N2O16, from OMol25.

```
! wB97M-V def2-TZVPD RIJCOSX def2/J DEFGRID3
* xyz -1 2
C 4.1596 0.7731 -0.3657
N 4.8702 -0.5331 -0.4887
O 4.6043 -1.3193 -1.3701
O 5.5843 -0.8724 0.4594
H 3.6854 0.9631 -1.3286
H 4.8023 1.5903 -0.0382
H 3.4875 0.5182 0.4537
C -0.9523 3.2838 4.0258
N -0.2515 4.5404 4.4982
O -0.7296 5.6013 4.1316
O 0.7921 4.4767 5.1368
H -1.3728 3.4296 3.0308
H -1.6064 2.8714 4.7940
H -0.1115 2.5935 3.9574
C 1.4746 -4.6620 -1.9603
C 0.5230 -5.5330 -1.1693
O 0.3406 -6.8005 -1.8735
C 0.9488 -6.6684 -3.0508
O 0.8854 -7.5671 -3.9312
O 1.5567 -5.4648 -3.0984
F -0.5346 -4.6692 -1.3110
H 2.3983 -4.4460 -1.4234
H 1.1964 -3.6842 -2.3534
H 0.8672 -5.6023 -0.1374
C -5.8241 -3.7086 -3.3247
C -4.4885 -3.9649 -3.9463
O -3.5844 -3.3232 -3.0288
C -4.2412 -2.3529 -2.4064
O -3.8218 -1.4610 -1.7478
O -5.6057 -2.5256 -2.6027
F -4.1845 -3.4687 -5.0925
H -6.1322 -4.5415 -2.6928
H -6.5371 -3.5002 -4.1224
H -4.2926 -5.0362 -3.9920
C 2.2134 6.7022 2.7513
C 1.2156 7.2954 1.7613
O 0.8848 6.1741 0.9790
C 1.4889 5.0490 1.5275
O 1.2040 3.8807 1.2833
O 2.4975 5.3814 2.2204
F 1.9265 8.2369 1.1807
H 1.7073 6.5991 3.7111
H 3.2244 7.1096 2.7385
H 0.4172 7.7764 2.3263